Brief:
It remains to reproduce the part of the material further down that starts with the line with "C6H8N2O3 at" and stops after the one with "0.0768".

Material:
No. 1
# C6H8N2O3

The molecule C6H8N2O3 at a distorted geometry (ωB97M-V/def2-TZVPD, the Open Molecules 2025 dataset).

Each line ends with the Löwdin charge.
Element x y z (Å)
C1 0.0035 -2.2145 -0.3512  -0.48
H1 -1.8752 1.9643 0.6085  0.09
H2 1.8760 -2.4092 -0.4598  0.16
O1 3.1472 1.0827 -0.8830  -0.07
O2 3.1866 -0.9348 0.9261  -0.01
N1 1.2185 -1.8592 0.0768  0.15
H3 -1.8813 -1.7182 -0.2783  0.14
C2 1.8911 1.1986 -0.9458  -0.37
H4 1.3013 -0.4703 1.8423  0.16
C3 1.3308 0.5742 0.0724  0.05
H5 -2.8815 0.6022 0.3277  0.11
C4 1.8066 -0.6802 0.8181  -0.37
H6 -1.7559 1.4495 -1.1351  0.11
C5 -0.8689 0.0885 0.0240  -0.06
H7 1.2400 1.8152 -1.5250  0.10
H8 3.4859 -0.2947 0.1876  0.10
C6 -1.9391 1.1015 -0.1009  -0.05
N2 -1.0650 -1.1668 -0.1746  0.15
O3 -0.2781 -3.2974 -0.7932  0.10

The value obtained for the LUMO energy is -0.49 eV. As for the HOMO energy: -8.0 eV. For the HOMO-LUMO gap, the calculation gives 7.5 eV. As for the total energy: -568.463959 a.u. Its relative energy (zero: lowest compared OMol25 entry of this formula, charge and spin) is 602.3 kJ/mol.



No. 2
# C6H8N2S

The molecule C6H8N2S at a distorted geometry (ωB97M-V/def2-TZVPD, the Open Molecules 2025 dataset).

Each line ends with the Löwdin charge.
Element x y z (Å)
N1 -1.6353 -0.5687 0.0320  -0.32
C1 -2.8018 -1.3005 0.0722  -0.04
C2 2.4961 1.3039 0.0660  -0.22
H1 -2.7682 -2.4507 0.1959  0.07
C3 -0.3261 -0.9919 0.0878  -0.14
H2 -0.3341 -2.1036 0.1783  0.12
S1 2.2375 -1.2206 -0.0166  1.03
C4 3.2455 0.1409 -0.1186  -0.44
C5 1.1796 1.1069 0.3001  -0.15
H3 0.6064 1.9391 0.4898  0.08
H4 2.8342 2.2787 0.0826  0.08
H5 -3.6152 -0.8495 -0.5602  0.05
H6 4.3902 0.1623 0.0210  0.10
H7 -2.7948 1.0217 0.2971  0.15
N2 -1.8466 0.7520 -0.1914  0.06
C6 0.8391 -0.2204 0.1859  -0.52
H8 -1.7066 1.0006 -1.1220  0.08

The value obtained for the LUMO energy (alpha / beta) is 0.23 / 0.41 eV. As for the HOMO energy (alpha / beta): -6.7 / -6.3 eV. For the HOMO-LUMO gap (alpha / beta), the calculation gives 6.9 / 6.7 eV. As for the total energy: -740.965516 a.u. Its relative energy (zero: lowest compared OMol25 entry of this formula, charge and spin) is 419.0 kJ/mol.



No. 3
# C6H8N2S2

The molecule C6H8N2S2 at a distorted geometry (ωB97M-V/def2-TZVPD, the Open Molecules 2025 dataset).

Each line ends with the Löwdin charge.
Element x y z (Å)
N1 0.4982 0.8099 -1.0310  -0.41
S1 1.5580 -1.4348 0.1729  0.92
N2 0.3144 -1.2243 -2.0870  0.02
C1 0.7121 -0.5202 -1.1211  -0.80
H1 0.5389 2.2742 2.2090  0.02
C2 -0.8746 1.0069 1.5555  -0.33
C3 1.1326 -2.8562 -0.7911  -0.44
H2 -0.7538 0.3417 2.5216  0.14
H3 -2.1728 -0.4587 1.0630  0.10
H4 -0.7268 3.1132 1.2357  0.10
S2 1.1629 1.7818 -0.0078  0.95
C4 -0.0948 2.2435 1.4343  -0.31
H5 0.0008 -3.3294 -2.6313  0.12
C5 0.4896 -2.5771 -1.9388  -0.24
C6 -1.7367 0.5394 0.6636  -0.02
H6 1.2459 -3.8411 -0.3352  0.05
H7 0.8027 3.0109 -0.7225  0.04
H8 -2.0964 1.1205 -0.1899  0.08

The value obtained for the LUMO energy is -0.03 eV. As for the HOMO energy: -7.7 eV. For the HOMO-LUMO gap, the calculation gives 7.7 eV. As for the total energy: -1139.165270 a.u. Its relative energy (zero: lowest compared OMol25 entry of this formula, charge and spin) is 404.6 kJ/mol.



No. 4
# C6H8N3O

The ion C6H8N3O with charge +1 at a distorted geometry (ωB97M-V/def2-TZVPD, the Open Molecules 2025 dataset).

Each line ends with the Löwdin charge.
Element x y z (Å)
C1 -1.2460 -1.4869 0.4160  0.09
N1 0.6858 -0.9606 -1.1217  0.05
O1 3.2015 0.2634 0.9650  -0.06
H1 2.9005 -0.5895 -1.0965  0.18
N2 -0.9150 0.6073 -0.2514  -0.04
C2 -1.9462 0.6220 0.6677  -0.05
H2 -3.0199 -0.7740 1.7175  0.09
C3 -0.4758 -0.7927 -0.4404  -0.23
H3 0.4157 1.6166 -1.4728  0.15
C4 1.8953 -0.6887 -0.5568  -0.21
N3 1.9723 -0.3309 0.6560  -0.01
H4 0.6909 -0.8673 -2.1839  0.19
H5 -2.5727 1.5468 0.7629  0.16
H6 -1.1423 -2.5721 0.5394  0.15
H7 3.2112 0.6968 1.8322  0.11
C5 -0.4865 1.6764 -0.8043  0.25
H8 -0.9388 2.6465 -0.7420  0.13
C6 -2.2301 -0.6131 1.1130  0.06

Written answer:
The molecule C6H8N2O3 at a distorted geometry (ωB97M-V/def2-TZVPD, the Open Molecules 2025 dataset).

Each line ends with the Löwdin charge.
Element x y z (Å)
C1 0.0035 -2.2145 -0.3512  -0.48
H1 -1.8752 1.9643 0.6085  0.09
H2 1.8760 -2.4092 -0.4598  0.16
O1 3.1472 1.0827 -0.8830  -0.07
O2 3.1866 -0.9348 0.9261  -0.01
N1 1.2185 -1.8592 0.0768  0.15